Source
No. 1
VASP calculation (PBE) on a geometry-optimized Sc6Si11Ni18 structure.

Geometry as POSCAR:
```
Sc6Si11Ni18
1.0
-4.0125 6.1137 8.9604
4.0125 -6.1137 8.9604
4.0125 6.1137 -8.9604
Sc Si Ni
12 22 36
Cartesian
4.0125 -2.2449 3.8539
0.0000 0.0000 2.3251
0.0000 0.0000 5.5586
1.6373 3.8828 0.0000
2.3752 -2.2309 8.9604
4.0125 2.2449 3.8539
0.0000 3.8689 5.1066
1.6373 8.3447 0.0000
2.3752 2.2309 8.9604
0.0000 0.0000 12.3623
0.0000 0.0000 15.5957
0.0000 8.3586 5.1066
1.8670 0.0000 0.0000
6.1581 0.0000 0.0000
4.0125 -3.4631 6.8713
2.5842 0.0000 3.0168
5.4408 0.0000 3.0168
4.0125 2.1336 0.0000
2.0687 4.0590 -2.8119
1.9438 -2.0548 6.1485
0.0000 2.6506 2.0891
2.0687 4.0590 2.8119
1.9438 -2.0548 11.7724
0.0000 6.1137 0.0000
0.0000 0.0000 8.9604
2.0687 8.1685 -2.8119
1.9438 2.0548 6.1485
4.0125 3.4631 6.8713
2.0687 8.1685 2.8119
1.9438 2.0548 11.7724
0.0000 3.9801 8.9604
-1.4283 6.1137 5.9436
1.4283 6.1137 5.9436
0.0000 9.5769 2.0891
2.6525 4.2104 -5.0573
1.3601 -1.9034 3.9032
2.2259 1.8057 -1.5109
5.7992 1.8057 -1.5109
4.0125 0.0000 1.2338
0.0000 1.4455 0.0000
2.2259 1.8057 1.5109
5.7992 1.8057 1.5109
4.0125 4.0049 -1.4229
4.0125 -1.2271 6.9327
2.6720 0.0000 5.2006
5.3530 0.0000 5.2006
2.6525 8.0171 -5.0573
1.3601 1.9034 3.9032
4.0125 4.0049 1.4229
2.1630 6.1137 -1.3550
1.8495 0.0000 7.6054
4.0125 1.2271 6.9327
0.0000 4.8866 2.0277
2.1630 6.1137 1.3550
1.8495 0.0000 10.3154
0.0000 2.1089 7.5376
2.6525 4.2104 5.0573
1.3601 -1.9034 14.0177
-1.3405 6.1137 3.7598
1.3405 6.1137 3.7598
0.0000 7.3409 2.0277
0.0000 2.1089 10.3833
-1.7867 4.3080 7.4495
1.7867 4.3080 7.4495
0.0000 10.7820 0.0000
0.0000 6.1137 7.7266
-1.7867 4.3080 10.4714
1.7867 4.3080 10.4714
2.6525 8.0171 5.0573
1.3601 1.9034 14.0177
```

Results
Total magnetic moment (Bohr magnetons per cell): 0.000
Space-group type: No. 71
Raw total energy (Ry/atom): -0.4798
Formation energy (eV per atom): -0.765



No. 2
VASP calculation (PBE) on a geometry-optimized ScNiSn structure.

Geometry as POSCAR:
```
ScNiSn
1.0
7.2178 0.0000 0.0000
-3.6089 6.2508 0.0000
0.0000 0.0000 3.5541
Sc Ni Sn
3 3 3
Cartesian
-2.1853 3.7850 0.0000
1.4237 2.4659 0.0000
4.3705 0.0000 0.0000
0.0000 0.0000 0.0000
0.0000 4.1672 1.7771
3.6089 2.0836 1.7771
-0.9768 1.6918 1.7771
1.9536 0.0000 1.7771
2.6321 4.5590 1.7771
```

Results
Space-group type: No. 189
Raw total energy (Ry/atom): -0.4418
Formation energy (eV per atom): -0.637



No. 3
VASP calculation (PBE) on a geometry-optimized ScNiSn structure.

Geometry as POSCAR:
```
ScNiSn
1.0
6.6681 0.0000 0.0000
0.0000 4.3674 0.0000
0.0000 0.0000 7.5329
Sc Ni Sn
4 4 4
Cartesian
0.0712 1.0918 1.5696
3.2629 3.2755 5.3361
3.4052 1.0918 2.1969
6.5969 3.2755 5.9633
1.3921 3.2755 3.1346
1.9420 1.0918 6.9010
4.7261 3.2755 0.6319
5.2760 1.0918 4.3983
1.3218 1.0918 4.4224
2.0122 3.2755 0.6559
4.6559 1.0918 6.8770
5.3463 3.2755 3.1105
```

Results
Total magnetic moment (Bohr magnetons per cell): 0.000
Space-group type: No. 62
Raw total energy (Ry/atom): -0.4412
Formation energy (eV per atom): -0.628



No. 4
VASP calculation (PBE) on a geometry-optimized Zr4ScNi5Sn5 structure.

Geometry as POSCAR:
```
Zr4ScNi5Sn5
1.0
2.1901 1.2644 17.8544
-2.1901 1.2644 17.8544
0.0000 -2.5289 17.8544
Zr Sc Ni Sn
4 1 5 5
Cartesian
0.0000 0.0000 0.0000
0.0000 0.0000 10.7093
0.0000 0.0000 21.4320
0.0000 0.0000 32.1324
0.0000 0.0000 42.8257
0.0000 0.0000 8.0516
0.0000 0.0000 18.7335
0.0000 0.0000 29.4540
0.0000 0.0000 40.1422
0.0000 0.0000 50.8782
0.0000 0.0000 5.3539
0.0000 0.0000 16.0554
0.0000 0.0000 26.7618
0.0000 0.0000 37.4778
0.0000 0.0000 48.1963
```

Results
Total magnetic moment (Bohr magnetons per cell): 0.000
Space-group type: No. 160
Raw total energy (Ry/atom): -0.4871
Formation energy (eV per atom): -0.662



No. 5
VASP calculation (PBE) on a geometry-optimized Sc2TcNi structure.

Geometry as POSCAR:
```
Sc2TcNi
1.0
0.0000 3.2055 3.2055
3.2055 0.0000 3.2055
3.2055 3.2055 0.0000
Sc Tc Ni
2 1 1
Cartesian
1.6028 1.6028 1.6028
4.8083 4.8083 4.8083
0.0000 0.0000 0.0000
3.2055 3.2055 3.2055
Activity
Duplicate every line earlier on that contains the word "Cartesian".
Done
Cartesian
Cartesian
Cartesian
Cartesian
Cartesian